Request:
Duplicate only the lines underneath with the word "GGA-PBE" in them, please.

Listing:
1.
DFT (PBE) results for Pr7Ho after structural relaxation.

Values from the calculation:
Final energy (eV per atom): -4.7467
Mass density (Mg/m³): 6.7

abc: 7.380 7.380 7.380
angles: 60.00 60.00 60.00
Element x y z (fractional)
Pr: 0.500 0.500 0.500
Pr: 0.500 0.000 0.500
Pr: 0.000 0.500 0.500
Pr: 0.000 0.000 0.500
Pr: 0.500 0.000 0.000
Pr: 0.000 0.500 0.000
Pr: 0.500 0.500 0.000
Ho: 0.000 0.000 0.000

2.
DFT (PBE) results for Pr4Ho3 after structural relaxation.

Values from the calculation:
Final energy (eV per atom): -4.5877
Mass density (Mg/m³): 7.4

abc: 5.984 9.225 5.673
angles: 112.32 121.83 90.00
Element x y z (fractional)
Pr: 0.714 0.139 0.427
Pr: 0.862 0.582 0.724
Pr: 0.138 0.418 0.276
Pr: 0.286 0.861 0.573
Ho: 0.433 0.289 0.866
Ho: 0.000 0.000 0.000
Ho: 0.567 0.711 0.134

3.
DFT (PBE) results for Pr2Ho after structural relaxation.

Values from the calculation:
Final energy (eV per atom): -4.4414
Mass density (Mg/m³): 6.9

abc: 6.717 6.717 6.717
angles: 60.00 60.00 60.00
Element x y z (fractional)
Pr: 0.625 0.125 0.625
Pr: 0.625 0.625 0.125
Pr: 0.625 0.625 0.625
Pr: 0.125 0.625 0.625
Ho: 0.250 0.250 0.250
Ho: 0.000 0.000 0.000

4.
DFT (PBE) results for Pr3Ho7 after structural relaxation.

Values from the calculation:
Final energy (eV per atom): -4.4603
Mass density (Mg/m³): 8.0

abc: 6.514 10.796 10.796
angles: 120.00 90.00 90.00
Element x y z (fractional)
Ho: 0.210 0.471 0.529
Ho: 0.520 0.333 0.667
Ho: 0.886 0.242 0.121
Ho: 0.886 0.879 0.121
Ho: 0.210 0.471 0.942
Ho: 0.386 0.758 0.879
Ho: 0.386 0.121 0.242
Ho: 0.386 0.121 0.879
Ho: 0.210 0.058 0.529
Ho: 0.886 0.879 0.758
Ho: 0.020 0.667 0.333
Ho: 0.710 0.942 0.471
Ho: 0.710 0.529 0.058
Ho: 0.710 0.529 0.471
Pr: 0.367 0.405 0.203
Pr: 0.367 0.797 0.203
Pr: 0.367 0.797 0.595
Pr: 0.867 0.595 0.797
Pr: 0.867 0.203 0.797
Pr: 0.867 0.203 0.405

5.
DFT (PBE) results for Pr13Ho3 after structural relaxation.

Values from the calculation:
Final energy (eV per atom): -4.7283
Mass density (Mg/m³): 6.9

abc: 7.348 7.348 10.417
angles: 90.00 90.00 90.08
Element x y z (fractional)
Pr: 0.247 0.248 0.000
Pr: 0.247 0.753 0.500
Pr: 0.247 0.247 0.500
Pr: 0.999 0.499 0.248
Pr: 0.501 0.001 0.248
Pr: 0.501 0.498 0.249
Pr: 0.501 0.498 0.751
Pr: 0.501 0.001 0.752
Pr: 0.752 0.753 0.000
Pr: 0.753 0.753 0.500
Pr: 0.753 0.247 0.500
Pr: 0.247 0.753 0.000
Pr: 0.999 0.499 0.752
Ho: 0.753 0.247 0.000
Ho: 0.998 0.002 0.248
Ho: 0.998 0.002 0.752

6.
DFT (PBE) results for Pr6Ho7 after structural relaxation.

Values from the calculation:
Final energy (eV per atom): -4.4181
Mass density (Mg/m³): 7.3

abc: 6.702 6.702 12.267
angles: 74.15 74.15 60.00
Last column: magnetic moment on the atom in μB.
Element x y z (fractional)
Ho: 0.088 0.088 0.240  0.27
Ho: 0.912 0.415 0.760  0.27
Ho: 0.912 0.912 0.760  0.27
Ho: 0.088 0.585 0.240  0.27
Ho: 0.585 0.088 0.240  0.27
Ho: 0.415 0.912 0.760  0.27
Ho: 0.000 0.000 0.000  0.44
Pr: 0.653 0.653 0.042  0.39
Pr: 0.549 0.549 0.352  0.32
Pr: 0.451 0.451 0.648  0.32
Pr: 0.347 0.347 0.958  0.39
Pr: 0.833 0.833 0.500  0.21
Pr: 0.167 0.167 0.500  0.21

7.
DFT (PBE) results for PrHo4 after structural relaxation.

Values from the calculation:
Final energy (eV per atom): -4.5973
Mass density (Mg/m³): 8.4

abc: 3.563 3.563 14.621
angles: 83.09 83.09 60.02
Element x y z (fractional)
Ho: 0.599 0.599 0.205
Ho: 0.199 0.199 0.401
Ho: 0.401 0.401 0.795
Ho: 0.801 0.801 0.599
Pr: 0.000 0.000 0.000

8.
DFT (PBE) results for PrHo2 after structural relaxation.

Values from the calculation:
Final energy (eV per atom): -4.3627
Mass density (Mg/m³): 7.5

abc: 6.659 6.659 6.659
angles: 60.00 60.00 60.00
Last column: magnetic moment on the atom in μB.
Element x y z (fractional)
Pr: 0.000 0.000 0.000  0.41
Pr: 0.250 0.250 0.250  0.41
Ho: 0.625 0.625 0.125  0.30
Ho: 0.125 0.625 0.625  0.30
Ho: 0.625 0.625 0.625  0.30
Ho: 0.625 0.125 0.625  0.30

* * * * *

1.
The following is a GGA-PBE calculation of As2SIBr after structural relaxation, from Alexandria.

CIF file:
```
data_As2SIBr

Worked solution:
The following is a GGA-PBE calculation of As2SIBr after structural relaxation, from Alexandria.